
Terms for subject Surgery containing | all forms
一期肠移植one-stage small intestine transplantation
下颌mandibular lingula
不对称身材一矮-性发育异常综合征Silver syndrome
乳房缩整形术reduction mammoplasty
乳突mastoid canaliculus
乳腺lobules of mammary gland
二期肠移植two-stage intestine transplantation
二腹biventral lobule
亚洲胆管肝炎asiatic cholangiohepatitis
人球动脉afferent glomerular arteriole
低位肠梗阻low small intestine obstruction
先天性congenital microtia
肠移植whole small intestine transplantation
出球动脉efferent vessel
出球动脉efferent glomerular arteriole
利一杜Leishman-Donovani body
前列腺prostatic utricle
前列腺prostatic ductules
前庭lesser vestibular glands
前庭窗fossula of fenestra vestibuli
十二指肠乳头minor duodenal papilla
半月瓣nodules of semilunar valves
单纯性肠溃疡simple ulcer of small intestine
原位肠移植orthotopic small intestine transplantation
原发性肠溃疡primary ulcer of small intestine
原发性肠结石primary enteroliths
muscles of auditory ossicles
坐骨切迹lesser sciatic notch
头后直肌rectus capitis posterior minor
F Y body
Y F body
儿外科pediatric surgery
儿小肠移植pediatric small intestine transplantation
儿尿路结石urinary tract calculi in children
儿急性阑尾炎acute appendicitis in infants and children
儿排尿功能紊乱dysfunctional voiding in children
儿痹症infantile paralysis
儿神经外pediatric neurosurgery
儿肝移植pediatric liver transplantation
儿肾移植pediatric renal transplantation
儿麻醉pediatric anesthesia
叶性肺不张lobular atelectasis
叶间动脉interlobular arteries
叶间小管interlobular ductuli
叶间静脉interlobular veins
唾液腺minor salivary glands
圆肌teres minor
夹板固定small splint immobilization
指伸肌extensor digiti minimi
指伸肌腱鞘tendinous sheath of extensor digiti minimi
指展肌abductor digiti minimi
指短屈肌flexor digiti minimi brevis
指营养不良fifth finger dystrophy
斜角肌scalenus minimus
梁网trabecular reticulum
梁网pectinate ligament
瓣叶minor cusp
细胞网状核parvocellular reticular nucleus
细胞部parvocellular part
网膜孔疝hernia of foramen of Winslow
肠倒置intestinal reversal
肠套叠enteric intussusception
肠息肉polyp of small intestine
肠恶性淋巴瘤small intestinal malignant lymphoma
肠憩室diverticulum of small intestine
肠扭转volvulus of small intestine
肠扭转intestinal volvulus
肠折叠排列术plication of small intestine
肠折叠排列术intestinal plication
肠排列术plication of small intestine
肠梗阻small intestine obstruction
肠梗阻obstruction of small intestine
肠痿small bowel fistula
肠癌carcinoma of small intestine
肠移植small intestine transplantation
肠节段性扩张intestinal segmental dilatation
脑上动脉superior cerebellar artery
脑上脚superior cerebellar peduncle
脑上脚brachium conjunctivum
脑上静脉superior cerebellar veins
脑下前动脉anterior inferior cerebellar artery
脑下后动脉posterior inferior cerebellar artery
脑下脚inferior cerebellar peduncle
脑下静脉inferior cerebellar veins
脑中央前静脉precentral cerebellar vein
脑中线部位肿瘤midline cerebellar tumor
脑中脚middle cerebellar peduncle
脑前叶anterior lobe of cerebellum
脑半球综合征cerebellar hemisphere syndrome
脑半球缺失cerebellum agenesis
脑半球肿瘤cerebellar hemisphere tumor
脑后切迹posterior cerebellar notch
脑外疝cerebellar ectopia
脑幕tentorium of cerebellum
脑幕下疝subtentorial hernia
脑幕切迹疝herniation of cerebellar incisura tentorii
脑幕支tentorial branch
脑幕支meningeal branch
脑幕缘支tentorial marginal branch
脑幕脑膜瘤tentorial meningioma
脑幕裂孔疝tentorial herniation
脑延髓池穿刺cisternal puncture
脑扁桃体下疝畸形Arnold-Chiari malformation
脑扁桃体疝tonsillar herniation
脑扁桃体疝cerebellar tonsillar hernia
脑桥脑角肿瘤cerebellopontine angle tumor
脑活树arbor vitae
脑绒球结节综合征flocculonodular syndrome
腿三头肌挛缩triceps surae muscle contracture
腿内侧皮支medial crural cutaneous branches
腿前区anterior crural region
腿前肌间隔anterior crural intermuscular septum
腿后区posterior crural region
腿后肌间隔posterior crural intermuscular septum
腿外侧区lateral crural region
腿筋膜crural fascia
腿静脉血栓形成venous thrombosis of lower leg
腿骨间神经interosseous nerve of leg
腿骨间膜crural interosseous membrane
=====
*1*
A structure of composition C5H4FNO. Source: the OMol25 dataset; level of theory: ωB97M-V/def2-TZVPD.

CARTESIAN COORDINATES (ANGSTROEM)
C: -0.740 1.879 -0.430
C: -0.539 0.440 -0.131
C: 0.719 -0.133 0.006
C: 1.176 -1.470 0.352
C: 0.123 -2.470 0.530
H: -0.667 2.438 0.728
H: -2.051 2.154 -0.839
H: 0.178 2.296 -1.302
H: 1.671 0.476 -0.291
N: -0.400 -3.536 0.614
O: 2.273 -1.880 0.531
F: -1.744 -0.193 0.232

Calculated values
**Multiplicity**: 1
**E_HOMO**: -10.7 eV
**Molecular weight**: 113.09 g/mol

These are the Mulliken partial charges, in e, on atoms 1 to 8:
1 C -0.949
2 C 0.715
3 C -0.458
4 C 0.451
5 C 0.278
6 H 0.252
7 H 0.307
8 H 0.298

*2*
The molecule C5H4FNO. Source: the OMol25 dataset; level of theory: ωB97M-V/def2-TZVPD.

CARTESIAN COORDINATES (ANGSTROEM)
N: -2.836 -0.880 -0.108
C: -1.786 -1.025 0.336
C: -0.475 -1.315 0.914
C: 0.538 -0.447 0.849
F: 1.653 -0.709 1.473
C: 0.686 0.846 0.131
C: 0.253 1.080 -1.245
O: 1.613 0.725 -0.982
H: -0.264 -2.399 1.159
H: 0.882 1.681 0.823
H: -0.444 0.359 -1.584
H: 0.181 2.083 -1.766

Calculated values
**Multiplicity**: 1
**E_HOMO**: -10.5 eV
**Molecular weight**: 113.09 g/mol

These are the Mulliken partial charges, in e, on atoms 1 to 8:
1 N -0.389
2 C 0.100
3 C -0.332
4 C 0.405
5 F -0.244
6 C 0.006
7 C -0.268
8 O -0.384

Relative energies, in eV, with the most stable structure set to zero: *1* 1.483; *2* 0.000.

*1*
The molecule C2H4OS. Source: the OMol25 dataset; level of theory: ωB97M-V/def2-TZVPD.

CARTESIAN COORDINATES (ANGSTROEM)
C: -0.874 -0.385 -0.262
C: 0.065 0.620 0.478
O: -1.847 -0.275 -1.001
S: 1.203 0.233 -0.895
H: -0.113 1.740 0.412
H: -0.514 -1.343 -0.003
H: 0.271 0.177 1.493
H: 1.810 -0.766 -0.222

Calculated values
**Multiplicity**: 1
**E_HOMO**: -9.4 eV
**Molecular weight**: 76.12 g/mol

Let us look at the Mulliken charges, expressed in e, one per atom:
1 C 0.068
2 C -0.409
3 O -0.516
4 S -0.168
5 H 0.304
6 H 0.289
7 H 0.276
8 H 0.156

*2*
The molecule C2H4OS. Source: the OMol25 dataset; level of theory: ωB97M-V/def2-TZVPD.

CARTESIAN COORDINATES (ANGSTROEM)
O: 0.660 -1.462 -0.194
C: -0.010 -0.430 0.438
C: -0.115 0.873 -0.111
S: -1.723 -0.064 -0.099
H: 0.761 -1.267 -1.099
H: 0.196 -0.451 1.477
H: -0.067 1.607 0.704
H: 0.299 1.195 -1.115

Calculated values
**Multiplicity**: 1
**E_HOMO**: -9.0 eV
**Molecular weight**: 76.12 g/mol

Let us look at the Mulliken charges, expressed in e, one per atom:
1 O -0.473
2 C 0.052
3 C -0.631
4 S -0.145
5 H 0.302
6 H 0.381
7 H 0.233
8 H 0.281

Relative energies, in eV, with the most stable structure set to zero: *1* 0.440; *2* 0.000.

*1*
A structure of composition C2H4OS. Source: the OMol25 dataset; level of theory: ωB97M-V/def2-TZVPD.

CARTESIAN COORDINATES (ANGSTROEM)
C: 1.134 -1.613 0.323
C: -0.334 0.873 0.453
O: -0.938 1.142 -0.477
S: -0.740 2.592 -2.048
H: 2.063 -2.059 -0.242
H: 0.402 -1.538 -0.456
H: 0.741 0.807 0.849
H: -1.708 3.482 -1.548

Calculated values
**Multiplicity**: 1
**E_HOMO (spin up / spin down)**: -7.6 / -7.7 eV
=====
血管吻合手术small blood vessel anastomosis
血管痉挛small blood vessel spasm
趾对跖肌opponens digiti minimi
趾短屈肌flexor digiti minimi brevis
minor forceps
阴唇粘连adhesion of labia minora
隐静脉small saphenous vein
骨盆lesser pelvis
鱼际间隙感染hypothenar space infection
鱼际隆起hypothenar eminence
鼠组织相容性复合体H-2 complex
coccygeal foveola
尿道海绵体trabeculae of spongy body of penis
尿道海绵体trabeculae of cavernous body of urethra
神经沟sulcus for lesser petrosal nerve
petrosal fossula
结肠综合征small left colon syndrome
左肺lingula of left lung
X 巴氏X chromatin
小脑幕下-脑上人路subtentorial-supracerebellar approach
异位肠移植heterotopic small intestine transplantation
minimum cancer
静脉small cardiac vein
静脉血流Thebesian flow
心最静脉smallest cardiac veins
心最静脉孔foramina venarum minimarum
急性管性排斥反应acute tubular rejection
急性出血性肠炎acute hemorrhagic enteritis
急性出血性坏死性肠炎acute hemorrhagic necrotizing enteritis
急性节段性肠炎acute segmental enteritis
恶性lentigo maligna
新月体性肾球肾炎crescentic glomerulonephritis
新生儿坏死性肠结肠炎neonatal necrotizing enterocolitis
方形叶前部anterior quadrangular lobule
方形叶后部posterior quadrangular lobule
未分化细胞癌undifferentiated small cell carcinoma
枕-脑后下动脉吻合术occipital artery-posterior inferior cerebellar artery anastomosis
桡骨头半脱位subluxation of capitulum radii
桡骨头半脱位radial head subluxation
橄榄脑纤维olivocerebellar fibers
正中旁paramedian lobule
lacrimal ductule
管壶腹ampulla of lacrimal ductule
泪腺排泄excretory ductules of lacrimal gland
湿疹-血板减少一免疫缺陷综合征Wiskott-Aldrich syndrome
病态肥胖的肠短路疗法small bowel bypass for morbid obesity
睫状ciliary zonule
睾丸lobules of testis
睾丸输岀efferent ductules of testis
runt disease
石棉asbestoic body
精曲contorted seminiferous tubules
精直straight seminiferous tubules
主动脉根small aortic root
脑幕人路transtracheal approach
耳轮helicis minor
耳郭缩成形术reductive otoplasty
lobules of liver
股骨大粗隆和粗隆撕脱骨折avulsion fracture of great and lesser trochanter
肱骨头骨折capitellum fracture
肱骨头骨软骨炎humeral capitellum osteochondritis
肱骨头骨软骨病osteochondritis of capitellum
球囊肿病glomerulocystic disease
球性血glomerular hematuria
球血流动力学glomerular hemodynamics
球间细胞mesangial cell
minor renal calices
管反流renal tubular backflow
管扩张症renal tubular ectasia
管肾小球反馈机制tubulo-glomerular feedback mechanism
管蛋白Tamm-Horsfall protein
肾单位肾球滤过率nephron glomerular filtration rate
肾曲管直部straight proximal tubule
gastric pits
biliary ductuli
肌发育不良dysplasia of pectoral is minor
肌缺如absence of pectoralis minor
胸膜下肺subpleural blebs
脊柱关节综合征facet syndrome
膀胱梁形成trabeculation of bladder
膀胱肠裂vesicointestinal fissure
肌转子囊trochanteric bursa of gluteus minimus
自体肠移植autologous small intestine transplantation
舌下腺minor sublingual ducts
节段肠移植segmental small intestine transplantation
paramedian lobule
虹膜lesser ring of iris
虹膜动脉lesser arterial circle of iris
蛛网膜粒pacchionian granulations
蜗窗fossula of fenestra cochleae
sphenoidal lingula
板减少症伴桡骨缺如thrombocytopenia with absence radius
板源性生长因子platelet-derived growth factor
板集聚platelet aggregation
视网膜内侧动脉medial arteriole of retina
视网膜内侧静脉medial venule of retina
视网膜颞侧上动脉superior temporal arteriole of retina
视网膜颞侧上静脉superior temporal venule of retina
视网膜鼻侧下动脉inferior nasal arteriole of retina
视网膜鼻侧下静脉inferior nasal venule of retina
腿关节talocrural joint
腿关节ankle joint
腿前区anterior talocrural region
腿后区posterior talocrural region
跟骨结节anterior tubercle of calcaneus
软斑病Michaelis-Guttman body
过度外展-胸肌综合征hyperabduction-pectoralis minor syndrome
锁骨上lesser supraclavicular fossa
阴茎海绵体trabeculae of cavernous body of penis
附睾lobules of epididymis
非特异性肠溃疡nonspecific ulcer of small intestine
The page is interrupted by records of molecules
********
# C14H42Cl2N4O10

A 7-piece molecular cluster, C14H42Cl2N4O10 overall (the ωB97M-V functional and the def2-TZVPD basis, the Open Molecules 2025 dataset).

Values from the calculation:
- M: 497.41 g/mol
- Charge: -2
- Frontier orbital gap: 4.74 eV
- Relative energy (zero: lowest compared OMol25 entry of this formula, charge and spin): 0.0 kJ/mol

Structure (XYZ):
```
72
Properties=species:S:1:pos:R:3:forces:R:3:mulliken_charge:R:1
Cl 3.663 2.034 -1.247 -0.52 -0.32 -0.74 1.75
Cl 1.699 -3.394 -2.771 -0.28 0.07 0.06 1.73
O 1.831 -2.522 -1.614 0.02 0.05 0.13 -0.72
O -0.640 -0.012 -5.917 0.88 0.93 1.08 -0.99
O 4.875 2.546 -0.660 0.02 0.22 0.24 -0.73
O 0.342 -3.341 -3.245 -0.02 -0.18 0.11 -0.65
O -0.009 1.377 -3.173 0.12 -1.09 0.76 -0.93
O 3.525 0.626 -0.906 -0.05 0.14 0.12 -0.61
O 2.495 2.743 -0.766 0.14 0.04 0.58 -0.65
O 2.058 -4.738 -2.383 0.01 0.12 -0.16 -0.74
O 3.710 2.186 -2.682 0.28 -0.16 0.08 -0.70
O 2.582 -2.924 -3.821 0.15 -0.05 0.10 -0.83
N 1.061 0.201 2.870 0.03 0.29 -0.38 1.03
N 1.789 -0.049 -4.590 0.01 0.42 0.68 -0.03
N -2.164 -0.240 0.315 0.25 0.63 -0.64 0.22
N 0.433 0.029 -0.826 -1.06 -0.35 -0.51 1.42
C 2.025 -0.708 2.285 -0.10 -1.62 -0.47 -0.10
C 1.510 -2.162 2.187 -0.69 0.42 0.72 -1.35
C -3.703 -0.748 2.226 0.20 0.30 0.38 -1.74
C -0.006 0.991 4.957 -0.24 -0.38 0.54 -1.32
C -2.751 1.076 0.067 -0.54 0.09 0.21 -0.59
C -1.209 1.417 -3.872 0.97 0.68 -0.04 -0.23
C -2.113 2.196 0.882 0.33 -0.10 -0.70 -1.02
C 1.252 1.569 2.386 0.42 0.02 0.07 0.39
C -2.630 -1.162 -0.731 -0.53 -0.17 0.32 -0.40
C -2.269 -0.702 1.694 -0.30 -0.59 -0.65 0.08
C 2.616 2.162 2.711 0.21 0.53 0.72 -1.64
C -2.048 -2.559 -0.629 -0.08 -0.38 0.03 -1.25
C -1.539 0.332 -4.916 -0.30 -1.57 -0.77 -0.53
C 1.005 0.045 4.320 -0.69 0.39 -0.79 -0.55
H 2.141 -0.971 -4.317 0.14 0.08 -0.22 0.26
H -1.629 -0.107 2.341 0.02 0.11 -0.05 -0.51
H 2.650 3.238 2.525 -0.09 -0.07 -0.29 0.43
H 0.329 2.020 5.072 0.04 0.02 -0.15 0.28
H 0.244 0.469 -1.788 0.00 0.61 -1.21 0.55
H 2.058 -2.700 1.419 0.00 -0.19 0.09 0.50
H -2.443 -0.701 -1.704 0.34 -0.04 0.04 0.30
H -0.953 0.961 4.414 0.13 0.16 -0.21 0.24
H -4.434 -1.149 1.523 0.16 -0.16 -0.10 0.29
H 2.004 0.167 4.763 -0.03 -0.23 0.26 0.39
H -2.335 -3.164 -1.489 -0.05 0.16 -0.10 0.44
H -3.733 -1.243 -0.682 0.02 -0.05 -0.02 0.51
H 2.845 2.066 3.781 -0.05 -0.13 -0.01 0.37
H -1.935 1.931 1.923 -0.11 0.08 0.05 0.07
H 0.443 2.197 2.763 0.05 0.01 0.10 0.46
H -2.042 1.472 -3.132 -0.46 -0.08 -0.34 -0.12
H 2.239 -0.485 1.239 0.12 0.75 0.21 -0.04
H -0.959 -2.614 -0.590 0.02 0.25 0.02 0.12
H -2.449 -3.067 0.253 0.09 -0.05 -0.01 0.32
H -1.206 2.369 -4.446 -0.34 0.09 0.01 0.39
H -4.026 0.268 2.470 -0.11 -0.08 0.10 0.34
H 2.306 0.409 -5.333 0.18 -0.29 0.07 0.38
H -3.722 -1.349 3.139 -0.14 0.06 0.00 0.47
H -0.257 0.605 5.951 0.17 0.16 0.08 0.43
H -1.803 -0.634 -4.416 -0.09 0.19 0.68 0.08
H -3.846 1.037 0.221 0.06 0.02 0.16 0.60
H 1.090 0.649 -0.360 0.05 -0.24 0.03 -0.28
H -2.510 0.627 -5.382 -0.12 0.37 0.21 0.29
H 1.528 -2.683 3.152 0.37 -0.10 -0.13 0.40
********
The records of molecules stop here
非特异性多发性肠溃疡症nonspecific multiple ulcers of small intestine
顶下inferior parietal lobule
颗粒granular foveolae
颞浅一脑上动脉吻合术superficial temporal artery-superior cerebellar artery anastomosis
zygomaticus minor
高位肠梗阻high small intestine obstruction
黄斑上动脉superior macular arteriole
_These calculated molecules were left in the entry by mistake_
********
No. 1
Formula: C4H15NO3
Source: the Open Molecules 2025 dataset
Level of theory: ωB97M-V/def2-TZVPD

Structure (XYZ):
```
23
Properties=species:S:1:pos:R:3:nbo_charge:R:1
C -0.49950 -1.42673 -0.66333 -0.654
C -0.28189 -0.52004 0.64224 0.183
C -0.36192 -1.20073 1.78049 -0.597
C 0.03810 1.75667 -0.59370 -0.440
N -0.02407 0.73264 0.56691 -0.633
H 0.38040 -2.29179 -0.52309 0.248
H -0.37894 -0.85577 -1.53153 0.201
H -1.53497 -1.71873 -0.68457 0.233
H -0.73282 -2.36211 1.73487 0.194
H -0.30168 -1.02136 2.87580 0.210
H 0.42501 1.17543 -1.56165 0.267
H 0.38466 2.65105 -0.20296 0.209
H -0.94741 2.07224 -0.84957 0.179
H -0.20426 1.10175 1.50146 0.384
H 2.05616 -0.21554 0.09884 0.449
H 3.15680 -0.44475 0.96463 0.464
O 2.67913 -0.78039 0.30310 -0.908
H 2.30606 0.21583 -1.66098 0.480
H 2.74956 0.76175 -3.03192 0.481
O 1.99075 0.56482 -2.51303 -0.951
H -2.98331 0.56510 0.81910 0.457
H -4.09300 1.03641 1.47457 0.455
O -3.82287 0.20424 1.05429 -0.911
```

Calculated values
ΔE to the lowest compared entry with this formula, charge and spin (kJ/mol): 397.8
Kohn-Sham gap (hartree): 0.2914
Highest occupied orbital energy (eV): -7.44
Charge: 0
SMILES string: C=C(C)NC.O.O.O

=====

No. 2
Formula: C6H10O
Source: the Open Molecules 2025 dataset
Level of theory: ωB97M-V/def2-TZVPD

Structure (XYZ):
```
17
Properties=species:S:1:pos:R:3:nbo_charge:R:1
C -0.92992 1.09997 2.27826 -0.408
C -1.36385 0.90366 1.03830 -0.376
C 0.52240 -0.24608 -1.34287 0.241
C -0.55020 -1.11086 -1.93048 -0.644
O 0.67517 0.92869 -2.04340 -0.681
C 1.22696 -0.54543 -0.27734 -0.055
C 1.86171 -0.77451 0.84175 -0.434
H -0.32390 1.96271 2.54291 0.193
H 1.44263 -0.43828 1.79213 0.213
H -1.16449 0.40644 3.08194 0.194
H -1.12930 1.58905 0.22731 0.197
H -1.96659 0.03768 0.77460 0.193
H -0.30492 -1.38007 -2.96381 0.226
H -0.67740 -2.02205 -1.34185 0.228
H -1.49699 -0.55851 -1.94604 0.222
H 1.36412 1.44873 -1.60769 0.484
H 2.81456 -1.30116 0.87627 0.208
```

Calculated values
ΔE to the lowest compared entry with this formula, charge and spin (kJ/mol): 229.1
Kohn-Sham gap (hartree): 0.3482
Highest occupied orbital energy (eV): -8.59
Charge: 0
SMILES string: C=C=C(C)O.C=C

=====

No. 3
Formula: C5H9NO
Source: the Open Molecules 2025 dataset
Level of theory: ωB97M-V/def2-TZVPD

Structure (XYZ):
```
16
Properties=species:S:1:pos:R:3:nbo_charge:R:1
C 1.20152 0.09528 0.44557 0.259
N 1.13073 0.45618 -0.82094 -0.467
C 0.41860 1.44293 -1.37391 -0.061
C -1.56808 -1.17519 0.17564 -0.367
C 0.58201 2.73770 -1.47291 -0.495
C -1.60191 -1.82563 1.32061 -0.435
O 1.62938 -1.17151 0.74568 -0.702
H 0.98615 -1.61846 1.32512 0.496
H 1.52427 -0.22564 -1.46714 0.426
H 0.75291 0.71219 1.20745 0.175
H -1.68768 -0.10891 0.10975 0.207
H -1.43689 -1.69655 -0.75258 0.199
H 1.47177 3.26906 -1.13763 0.171
H -0.17304 3.34873 -1.93833 0.203
H -1.48672 -2.90879 1.35464 0.195
H -1.74302 -1.33139 2.27898 0.196
```

Calculated values
ΔE to the lowest compared entry with this formula, charge and spin (kJ/mol): 531.1
********
黄斑上静脉superior macular venule
黄斑下动脉inferior macular arteriole
黄斑下静脉inferior macular venule
鼻孔底狭narrowed nasal floor
鼻缩整形术reductive rhinoplasty
鼻翼软骨minor alar cartilages